With elections around the corner, the student body deserves an election with integrity. So far, the Joint Elections Committee is off to a really bad start. The organization that governs our elections is already eroding confidence in our future elected leaders. At the current rate, we are poised for another election tainted with scandal.
Election problems started when the Marvin Center Governing Board appointed Justin Neidig to the JEC. Neidig is one of the most motivated and hard-working politicians I have ever met. Although I respected him as a colleague in the Senate last year, I have no respect for the decision to place him on the JEC to run student elections. Since the “Clean Slate” ticket beat him last year in his election to become a senator, Neidig has shown himself to be unethical and corrupt. Through alleged acts of impropriety, Mr. Neidig has shown that fairness and honesty may not be his top priorities.
Soon after being elected chair of the JEC, Neidig personally filed multiple violations against Ben Traverse’s “Coalition for Reform.” For transparency’s sake, I did run with Traverse on last year’s “Clean Slate,” though I have not pledged my support for any candidate in this year’s election. Because of their past rivalry and the fact that the violations were filed by Neidig, Traverse asked that Neidig reccuse himself from the case. Neidig refused, demanding to be the witness, judge, jury and executioner. But far worse than that, Neidig’s JEC broke their own charter just to go after the Coalition for Reform. The integrity of the upcoming election is already tarnished by the JEC’s disregard for their own rules. Before online rules even existed, the Coalition of Reform was still found in violation of campaigning online.
One member of the JEC, Christopher Jenkins, is known in the Student Association for his integrity and neutrality. Second in line to the chair, Jenkins served in the past as Senate Parliamentarian, senator and has mastery over all Student Association governing documents. As a graduate student, he is widely considered to be unbiased and fair in all of his political dealings on campus. Jenkins opposed Neidig’s efforts to unfairly target the Coalition for Reform. In his dissenting opinion regarding the violations against the Coalition, Jenkins carefully explains why such violations would be impossible. He writes, “At the time the complaints were filed, no such rules had yet been promulgated for the 2005 cycle and ex post facto enforcement is a blatant violation of due process.”
Attached: quantum chemistry results =
........
(1)
86
Properties=species:S:1:pos:R:3:forces:R:3 method="wB97M-V/def2-TZVPD" homo_energy_ev="-8.168 / -8.151" spin_multiplicity=2 homo_lumo_gap_ev="7.36 / 7.36" relative_energy_kcal_mol=0.0 charge=0 s2=1.09
Co 0.508 -0.399 -0.336 -1.9 -0.1 0.2
C 0.389 -0.694 3.517 0.1 -0.1 -0.2
As -0.367 0.289 2.008 -0.6 0.6 0.2
C -0.522 2.039 2.909 0.3 0.0 -0.2
C -2.278 -0.104 2.195 -0.2 0.0 -0.2
C -2.705 -1.005 3.164 0.1 -0.1 0.0
C -4.053 -1.261 3.363 0.0 0.0 0.0
C -4.996 -0.616 2.585 0.0 0.0 0.0
C -4.581 0.274 1.606 0.0 0.0 0.0
C -3.236 0.544 1.390 0.2 -0.3 0.2
As -2.696 1.785 -0.029 -0.1 0.3 0.1
C -3.774 3.314 0.621 0.2 0.0 0.0
C -3.930 1.275 -1.462 0.0 -0.2 0.0
H 0.432 -1.751 3.263 0.0 0.0 0.0
H -0.188 -0.538 4.425 0.0 0.1 0.0
H 1.406 -0.338 3.682 0.0 0.0 0.0
H -1.269 1.958 3.695 0.0 0.0 0.1
H -0.843 2.785 2.183 0.0 0.0 0.0
H 0.434 2.341 3.339 0.0 0.0 0.0
H -1.979 -1.533 3.770 -0.1 0.0 0.0
H -4.365 -1.965 4.125 0.0 0.0 0.0
H -6.052 -0.811 2.730 0.0 0.0 0.0
H -5.330 0.756 0.989 0.0 0.0 0.0
H -4.826 3.048 0.721 0.0 0.0 0.0
H -3.679 4.143 -0.080 0.0 0.0 0.0
H -3.395 3.635 1.592 0.0 0.0 0.0
H -4.949 1.150 -1.097 0.0 0.0 0.0
H -3.603 0.338 -1.909 0.0 0.0 0.0
H -3.920 2.057 -2.221 0.0 0.1 0.0
N 0.168 0.831 -4.286 0.0 0.0 0.0
C -0.009 0.013 -3.249 -0.1 0.0 0.0
N 0.244 0.678 -2.141 0.5 0.5 0.3
C 0.586 1.936 -2.579 -0.1 -0.3 0.2
N 0.547 2.057 -3.884 0.0 0.1 0.0
C 0.969 3.066 -1.712 0.0 0.0 0.0
C 1.353 4.285 -2.274 0.0 0.1 0.0
N 1.748 5.307 -1.527 0.0 -0.1 -0.1
C 1.768 5.112 -0.211 0.0 0.1 -0.1
C 1.362 3.912 0.348 -0.1 -0.1 0.1
N 0.950 2.893 -0.397 0.1 -0.1 0.1
H 0.028 0.642 -5.261 0.0 0.0 -0.1
H -0.356 -1.009 -3.303 0.0 0.0 0.0
H 1.339 4.421 -3.348 0.0 0.0 0.0
H 2.114 5.939 0.399 0.0 -0.1 0.0
H 1.366 3.752 1.422 0.0 0.1 -0.1
O -2.025 -2.015 -2.649 0.0 0.1 0.1
S -2.159 -2.110 -1.207 0.1 0.1 0.0
O -3.504 -2.056 -0.704 0.0 0.0 0.0
O -1.304 -1.125 -0.489 -0.2 -0.1 -0.1
C -1.569 -3.768 -0.858 0.0 0.0 -0.2
C -2.543 -4.744 -1.061 0.1 0.1 0.1
C -2.202 -6.086 -1.065 0.0 0.0 0.0
C -0.880 -6.466 -0.886 -0.1 -0.1 0.0
C 0.092 -5.507 -0.666 0.0 0.1 0.1
C -0.248 -4.159 -0.640 -0.1 0.0 -0.1
S 1.091 -3.023 -0.377 0.7 -0.3 -0.1
O 2.288 -3.814 -0.267 -0.1 0.0 0.0
O 1.091 -2.092 -1.531 0.1 0.0 0.2
O 0.797 -2.239 0.844 0.1 0.0 -0.1
H -3.560 -4.417 -1.226 0.0 -0.1 0.0
H -2.965 -6.836 -1.228 0.0 0.0 0.0
H -0.604 -7.513 -0.922 0.0 0.0 0.0
H 1.129 -5.774 -0.518 0.0 0.0 0.0
C 8.695 -0.297 -0.753 0.0 0.0 0.0
C 7.235 -0.304 -0.405 -0.1 0.0 0.0
C 6.802 -0.643 0.873 0.2 0.0 0.0
C 5.462 -0.633 1.210 -0.2 0.0 0.1
C 5.060 -1.016 2.616 0.0 0.0 -0.1
C 4.512 -0.258 0.233 0.5 0.3 -0.1
C 3.139 -0.152 0.640 0.1 -0.2 0.7
O 2.229 0.284 -0.051 0.8 0.2 -1.0
C 4.933 0.057 -1.086 -0.2 0.0 0.1
C 3.968 0.420 -2.183 0.1 0.0 0.1
C 6.286 0.029 -1.367 0.1 0.0 0.0
H 9.311 -0.560 0.106 0.0 0.0 0.0
H 8.997 0.689 -1.109 0.0 0.0 0.0
H 8.899 -1.010 -1.554 0.0 0.0 0.0
H 7.532 -0.920 1.625 0.0 0.0 0.0
H 5.942 -1.293 3.191 0.0 0.0 0.0
H 4.374 -1.864 2.615 0.0 0.0 0.0
H 4.575 -0.188 3.136 0.0 0.0 0.0
........
So much for the quantum chemistry results =
It is hard for me to believe that the JEC just made another mistake. It only takes seven violations for a candidate to get kicked off the ballot. Right now, the JEC has tagged Ben Traverse and Morgan Corr, the top of the Coalition for Reform ticket, each with four violations for campaigning online. There was not a mistake. The JEC, led by Neidig, is trying to kick the Coalition for Reform off of the ballot. They don’t care that they are breaking their own rules. They don’t care that students will continue to lose faith in Student Association elections. They don’t even care if they look corrupt. For Neidig, this is personal. Neidig and his roommate have been going after Ben Traverse for months before elections even started. Neidig attacked Traverse in The Hatchet and submitted legislation to the Senate to mock Traverse. Without question, Neidig is out to get Ben Traverse.
After last year, seeing the JEC get away with such corruption makes me sick. Although I do not expect the chair of the Marvin Center Governing Board to remove Neidig, it is obvious that she should. The JEC is ruining it for all of us right now. By abusing their power to try and get candidates kicked off of the ballot, Neidig and the JEC are destroying confidence in our election process.
-The writer, a junior majoring in political science, is a Hatchet columnist.